[Brief]
Now print the lines further down from the one with "1.97" to the one with "-0.4126" unchanged.

[Data]
=====
(1)
The following is a DFT calculation (ωB97M-V with the def2-TZVPD basis set) of the molecule C4H7NO.

## Properties
largest force on an atom	0.85	eV/A
relative energy (zero: lowest compared OMol25 entry of this formula, charge and spin)	84.11	kcal/mol
charge	0
HOMO	-9.35	eV
structure (SMILES)	O[C@H]1C[C@H]2N[C@@H]12
HOMO-LUMO gap	10.3	eV
total energy	-286.4976	a.u.

Each line ends with the natural charge from an NBO analysis.
CARTESIAN COORDINATES (ANGSTROEM)
1 O 2.09 0.93 0.04  -0.7106
2 C 0.94 0.22 -0.40  0.1251
3 C 0.21 -1.31 -0.21  -0.4068
4 C -1.06 -0.52 0.00  -0.1006
5 N -0.81 0.13 1.29  -0.5873
6 C -0.37 0.79 0.03  -0.1526
7 H 1.78 1.81 0.32  0.4731
8 H 1.06 0.14 -1.48  0.1630
9 H 0.32 -2.06 0.59  0.2248
10 H 0.28 -1.83 -1.17  0.2031
11 H -2.05 -0.66 -0.41  0.2128
12 H -1.67 0.59 1.59  0.3535
13 H -0.75 1.78 -0.19  0.2026

---

(2)
The following is a DFT calculation (ωB97M-V with the def2-TZVPD basis set) of a structure of composition C6H5N3O3 in a non-equilibrium geometry.

## Properties
multiplicity	3
largest force on an atom	5.19	eV/A
relative energy (zero: lowest compared OMol25 entry of this formula, charge and spin)	0.00	kcal/mol
charge	0
HOMO (spin up / spin down)	-6.64 / -10.21	eV
HOMO-LUMO gap (spin up / spin down)	7.0 / 6.7	eV
total energy	-621.4852	a.u.

Each line ends with the Löwdin spin population.
CARTESIAN COORDINATES (ANGSTROEM)
1 C -1.91 -1.28 -0.74  0.2932
2 C -0.45 0.06 -1.70  0.4359
3 C -0.22 1.07 0.69  0.0236
4 C 2.08 0.83 0.82  0.0029
5 C -0.91 -1.37 0.35  0.0795
6 C 0.18 0.04 -0.33  0.1252
7 N -1.66 -0.71 -1.83  0.0817
8 N 0.99 1.51 1.32  0.0023
9 N 1.59 -0.04 -0.21  0.0261
10 O -0.02 0.69 -2.65  0.8579
11 O -1.35 1.48 0.91  0.0156
12 O 3.20 0.98 1.22  0.0082
13 H -2.89 -1.69 -0.70  0.0290
14 H -1.33 -0.93 1.17  0.0059
15 H -0.37 -2.32 0.45  0.0098
16 H 0.87 2.11 2.06  0.0007
17 H 2.20 -0.44 -0.83  0.0025

---

(3)
The following is a DFT calculation (ωB97M-V with the def2-TZVPD basis set) of the molecule C5H10Si in a non-equilibrium geometry.

## Properties
largest force on an atom	3.08	eV/A
relative energy (zero: lowest compared OMol25 entry of this formula, charge and spin)	47.45	kcal/mol
charge	0
HOMO	-9.16	eV
structure (SMILES)	CC1(C)C=C1[SiH3]
HOMO-LUMO gap	10.0	eV
total energy	-485.8915	a.u.

Each line ends with the natural charge from an NBO analysis.
CARTESIAN COORDINATES (ANGSTROEM)
1 C 0.79 1.32 0.45  -0.1897
2 C 0.50 0.12 0.86  -0.3204
3 C -0.12 0.56 -0.45  -0.0862
4 C -1.59 0.88 -0.51  -0.6186
5 C 0.43 -0.04 -1.74  -0.6211
6 Si 0.70 -1.58 1.97  0.8428
7 H 1.28 2.25 0.60  0.2186
8 H -2.17 -0.01 -0.77  0.2025
9 H -1.79 1.64 -1.27  0.2046
10 H -1.95 1.25 0.45  0.2100
11 H 0.04 -1.05 -1.88  0.2019
12 H 1.51 -0.09 -1.70  0.2095
13 H 0.13 0.56 -2.60  0.2054
14 H 1.88 -2.29 1.47  -0.1511
15 H -0.52 -2.34 1.75  -0.1548
16 H 0.86 -1.18 3.36  -0.1532

---

(4)
The following is a DFT calculation (ωB97M-V with the def2-TZVPD basis set) of the molecule C4H10ClN in a non-equilibrium geometry.

## Properties
largest force on an atom	2.37	eV/A
relative energy (zero: lowest compared OMol25 entry of this formula, charge and spin)	22.77	kcal/mol
charge	0
HOMO	-8.78	eV
structure (SMILES)	CNCCCCl
HOMO-LUMO gap	9.8	eV
total energy	-673.3232	a.u.

Each line ends with the natural charge from an NBO analysis.
CARTESIAN COORDINATES (ANGSTROEM)
1 C -0.69 0.26 -2.22  -0.4126
2 C 0.60 -0.19 -0.24  -0.2301
3 C 0.65 -0.61 1.21  -0.4144
4 C -0.15 0.42 2.05  -0.3920
5 H -0.82 -0.67 -2.94  0.1803
6 H 0.33 0.63 -2.39  0.1906
7 H -1.40 1.12 -2.39  0.2002
8 H -1.16 -1.10 -0.83  0.3571
9 H 1.12 0.80 -0.27  0.2083
10 H 1.24 -0.86 -0.75  0.1631
11 H 0.25 -1.62 1.43  0.2064
12 H 1.69 -0.66 1.53  0.2149
13 H -0.19 0.17 3.09  0.2104
14 H -1.22 0.47 1.75  0.2236
15 N -0.72 -0.20 -0.84  -0.6487
16 Cl 0.48 2.03 1.81  -0.0571

---

Q: relative energy (zero: lowest compared OMol25 entry of this formula, charge and spin) of number 2 (C6H5N3O3)?
A: 0.00 kcal/mol

=====
=====

[Reply]
6 Si 0.70 -1.58 1.97  0.8428
7 H 1.28 2.25 0.60  0.2186
8 H -2.17 -0.01 -0.77  0.2025
9 H -1.79 1.64 -1.27  0.2046
10 H -1.95 1.25 0.45  0.2100
11 H 0.04 -1.05 -1.88  0.2019
12 H 1.51 -0.09 -1.70  0.2095
13 H 0.13 0.56 -2.60  0.2054
14 H 1.88 -2.29 1.47  -0.1511
15 H -0.52 -2.34 1.75  -0.1548
16 H 0.86 -1.18 3.36  -0.1532

---

(4)
The following is a DFT calculation (ωB97M-V with the def2-TZVPD basis set) of the molecule C4H10ClN in a non-equilibrium geometry.

## Properties
largest force on an atom	2.37	eV/A
relative energy (zero: lowest compared OMol25 entry of this formula, charge and spin)	22.77	kcal/mol
charge	0
HOMO	-8.78	eV
structure (SMILES)	CNCCCCl
HOMO-LUMO gap	9.8	eV
total energy	-673.3232	a.u.

Each line ends with the natural charge from an NBO analysis.
CARTESIAN COORDINATES (ANGSTROEM)
1 C -0.69 0.26 -2.22  -0.4126